Enforcing test execution before allowing Git commits - bitbucket

I'm working with BitBucket and VSTS to build a standard CI pipeline.
Development team works on a feature branch. When their work is complete, they merge their code into development branch.
I would like a way to enforce a test execution prior to merging the feature branch into development branch. Ideal situation would be something like this:
The developer creates a pull request.
The code review process is approved.
The developer does SOMETHING, which triggers some process that merges the feature branch with the development branch (feature branch could merge into development branch, or a brand new branch is created with the two branches merged, or something else).
The merged branch is built, deployed, and test executed against it.
Test pass: branch is merged into development branch.
Test fail: feature branch does not merge into development branch (if the branch is already merged into development branch, then the merged commit is reverted out of development branch).
The goal of this process is to keep development branch at a "good" condition.
Typically, the SOMETHING which triggers all this process is the act of committing (or merging) a code into the development branch. The trouble with this process is reverting the code out of the development branch if the tests fail without loosing the code. (It's possible that the merged branch has been deleted at this point).

There is build Pull Request feature in VSTS build, so you can create a new build definition with Build pull requests enabled, then the build will be triggered once a new pull request be created and match the target branch, you can check the build result in pull request in bitbucket.
You can define the policies through checklist: Pull request guidelines for Bitbucket Cloud.
BTW, the VSTS includes branch policies feature, so you can consider using VSTS repository.


jenkins pipeline configuration for starting builds on different branches with gerrit triger

I have recently started to experiment code review using Gerrit Code Review. Now I am trying to create a pipeline in jenkins and I have some issues with building based on a specific branch.
This is what I want to obtain:
I have 2 remote branches: master and develop.
For each new feature I create a local branch and I use git push origin HEAD:refs/for/develop to send the changes to review in order to be eventually merged into the remote's develop branch.
After the changes are accepted and the merge is finalized the code from the develop branch should be built and the result will be deployed to server_1.
At some point the develop branch will be merged into the master branch. The code from the master branch will be built and the result will be deployed to server_2.
I have managed to use Patchset Created event to start the build for the changes that are being reviewed. And probably I will use Change Merged event to start the build based on the develop branch after the changes have been merged
I made the following settings:
Branches to build: $GERRIT_REFSPEC
disabled Lightweight checkout
I tried to use the Ref Updated event to start the build when I push a commit directly into the develop from the local develop branch but it results in a failure. Why is this happening? What settings should I make to make it work?
Also how do I deploy code to the right server based on the current branch name?

Bamboo build tying to undesired BitBucket Commit

**Unrelated to this entry: materials data**
=====
Computed powder XRD pattern
Compound: Eu2YVO6
Radiation: CuKα
Structure: a PBE+U-relaxed structure
Kinematic intensities with the Lorentz-polarization factor, no thermal factor.

Main lines, in order of rising 2θ (2θ = 10–90°):
| Position (°2θ) | I (rel.) | (hkl) |
| --- | --- | --- |
| 21.70 | 10 | 2 0 0 |
| 30.88 | 100 | 2 2 0 |
| 38.06 | 15 | 2 2 2 |
| 44.24 | 31 | 4 0 0 |
| 54.92 | 39 | 4 2 2 |
| 64.34 | 19 | 4 4 0 |
| 73.07 | 17 | 6 2 0 |
| 89.56 | 21 | 6 4 2 |

Cell and atoms:
```
data_Eu2YVO6
_chemical_formula_sum 'Eu8 Y4 V4 O24'
_cell_length_a 8.190
_cell_length_b 8.190
_cell_length_c 8.190
_cell_angle_alpha 90.00
_cell_angle_beta 90.00
_cell_angle_gamma 90.00
_symmetry_space_group_name_H-M 'F m -3 m'
_symmetry_Int_Tables_number 225
_symmetry_space_group_name_Hall '-F 4 2 3'
loop_
_atom_site_label
_atom_site_type_symbol
_atom_site_fract_x
_atom_site_fract_y
_atom_site_fract_z
Eu1 Eu 0.250 0.250 0.250
Y1 Y 0.000 0.000 0.000
V1 V 0.000 0.000 0.500
O1 O 0.000 0.000 0.268
```

----------

Simulated PXRD pattern of Fe7Sb10Cl8O18 for λ = 1.5418 Å (Cu Kα), from a DFT-relaxed cell (PBE+U, the Materials Project).
No peak broadening, texture or thermal motion is included.

Crystal structure
a b c (Å): 9.844 10.074 10.077
angles (deg): 72.58 63.91 65.42
Fractional positions:
Fe 0.000 0.000 0.000
Fe 0.016 0.864 0.641
Fe 0.338 0.588 0.469
Fe 0.355 0.705 0.731
Fe 0.645 0.295 0.269
Fe 0.662 0.412 0.531
Fe 0.984 0.136 0.359
Sb 0.019 0.766 0.327
Sb 0.301 0.346 0.794
Sb 0.327 0.481 0.088
Sb 0.331 0.972 0.426
Sb 0.339 0.870 0.132
Sb 0.661 0.130 0.868
Sb 0.669 0.028 0.574
Sb 0.673 0.519 0.912
Sb 0.699 0.654 0.206
Sb 0.981 0.234 0.673
Cl 0.032 0.610 0.633
Cl 0.073 0.722 0.923
Cl 0.275 0.981 0.780
Cl 0.360 0.323 0.441
Cl 0.640 0.677 0.559
Cl 0.725 0.019 0.220
Cl 0.927 0.278 0.077
Cl 0.968 0.390 0.367
O 0.068 0.077 0.546
O 0.102 0.906 0.147
O 0.226 0.026 0.271
O 0.259 0.705 0.296
O 0.264 0.797 0.557
O 0.360 0.344 0.964
O 0.402 0.496 0.657
O 0.442 0.610 0.910
O 0.490 0.821 0.260
O 0.510 0.179 0.740
O 0.558 0.390 0.090
O 0.598 0.504 0.343
O 0.640 0.656 0.036
O 0.736 0.203 0.443
O 0.741 0.295 0.704
O 0.774 0.974 0.729
O 0.898 0.094 0.853
O 0.932 0.923 0.454

The 10 most intense peaks (2θ = 10–80°), low angle first:
2θ 11.80, rel. 55; 2θ 14.86, rel. 45; 2θ 23.72, rel. 35; 2θ 25.28, rel. 29; 2θ 29.21, rel. 100; 2θ 29.81, rel. 86; 2θ 32.20, rel. 73; 2θ 35.42, rel. 37; 2θ 35.55, rel. 26; 2θ 36.33, rel. 33



Simulated PXRD pattern of FeSbCl8O8 for λ = 1.5418 Å (Cu Kα), from a DFT-relaxed cell (PBE+U, the Materials Project).
No peak broadening, texture or thermal motion is included.

Crystal structure
a b c (Å): 6.910 6.910 8.877
angles (deg): 90.00 90.00 90.00
Fractional positions:
Fe 0.000 0.000 0.000
Sb 0.500 0.500 0.500
Cl 0.000 0.000 0.248
Cl 0.000 0.000 0.752
Cl 0.250 0.250 0.500
Cl 0.250 0.750 0.500
Cl 0.500 0.500 0.234
Cl 0.500 0.500 0.766
Cl 0.750 0.250 0.500
Cl 0.750 0.750 0.500
O 0.000 0.263 0.000
O 0.000 0.500 0.313
O 0.000 0.500 0.687
O 0.000 0.737 0.000
=====
**So much for the materials data**

I have a BitBucket repo and a Bamboo Plan. The Bamboo Plan is tied to the Bitbucket repo in the "Repository" settings.
The Bamboo Plan "Branch" settings are set to create a new Branch when a new branch is created in the repo.
When I create a branch, bamboo makes a new branch and starts the build. The first build is tied to the latest commit which came from the original branch. I don't want to associate the new branch build with a commit to the original branch. (It causes more than one build to be associated with the commit.)
Desired Outcome
The build should only tie to new commits in the branch.
Pull Request Trigger
I modified my bamboo plan to only trigger new bamboo branches when a Pull Request is created for the repo branch. It did give me the desired outcome. The downside is that commits to the branch will not be executed against the CICD process until a PR is created.
Is there a way to create Bamboo branches only on the first commit to a new repo branch?
I'm sorry there isn't much you can do about this.

How to branch for CI & CD using TFS?

For LiZn3Rh, a structure optimized by DFT (PBE) gives the computed X-ray powder pattern in this record (Cu Kα (weighted mean of Kα1 and Kα2)).
Intensities are scaled so that the largest is 1000.

Peak list (6 most intense, 5° ≤ 2θ ≤ 70°, by angle)
2theta	I/Imax	index
24.4	364	0 1 1
41.2	1000	1 1 2
41.3	992	1 1 -3
44.6	398	2 0 -1
44.8	393	0 2 0
65.0	245	2 2 -1

Lattice parameters (Å, degrees): 4.065 4.048 8.709 90.00 103.23 90.00
Sites, in units of the cell vectors:
Li1 0.156 0.250 0.310
Li2 0.844 0.750 0.690
Zn1 0.056 0.750 0.109
Zn2 0.248 0.750 0.501
Zn3 0.446 0.750 0.895
Zn4 0.554 0.250 0.105
Zn5 0.752 0.250 0.499
Zn6 0.944 0.250 0.891
Rh1 0.350 0.250 0.699
Rh2 0.650 0.750 0.301

We have Dev, QA pre_prod (stage) and Prod(Trunk) branch.
This is how our process works , please help in improving process to avail CI&CD features using TFS..
Dev changes are merged to QA branch on schedule basis say end of sprint. then published from QA branch. QA team does testing if found any defect , then bug-fix is done in QA branch then get merged with Dev branch.
if QA is done then QA branch is merged with pre-Prod and Acceptance testing is done by client then merged to prod branch and published to client.
if it comes production bug, hot fix is made in pre-prod branch -> published for acceptance testing (acceptance env where QA gets notified) ->all good then then merge to prod branch and publish to client.
hot fix is not merged to QA as it may add other QA ongoing check-ins. since hot fix needs instant fix it goes through Acceptane testing directly where QA also can test .. if all good then get merged to QA branch.
1. All development has to be done to give build to QA . so QA is idle. no CI.
2. Another team to do merging between branches. publish it and if error again merging it. resource not free...
how can we implement TFS CI& CD features here ?
CI better works with one branch pattern where check-in will trigger build then QA will test and approve then promote to prod. but here if QA rejects then dev has to fix since it is single branch it will get merge with ongoing daily check-ins and if triggers some more error in QA the this cycle will repeat all the time and features can't be promoted to prod.
Second solution could be to establish branch specific CI & CD as changes are done in individual branch. but here we can't avail the CD feature.... as there is no link between environments ...
third concern is QA needs a stable environment to test all tasks..if in mid new deployment is added through CD then QA testing will get hampered.
please help...and provide your thoughts to it if process needs to be changed...

Run Build after Merging Branch - Team Foundation Server

Is it possible to run an Automated Build when you Merge a Feature Branch into the Development Branch?
When a Developer is done working on their Feature Branch, they will Merge the Feature Branch into the Development Branch. When it is Merge, I would like to fire off an Automated Build, that will run the Unit Tests.
With Continuous Integration, you run the Build when you check in a Changeset. I want to run Continuous Integration when I Merge a Branch into another Branch.
This isn't much different than setting up a build for a normal check in. You would just set up a trigger/build definition on the appropriate branch for the approriate reason. Once the merge is performed into the branch and checked in, this would trigger the build normally.
From my source view see:
KritnerWebsite is trunk, KritnerWebsite-branch is my dev branch.
I complete development/check-ins on the branch, then when done I merge into trunk. At which point the following build definition takes over:
Notice in above the monitored folder for the trigger (in this case gated check in) is my trunk folder in source control.
Hope this helps! :)
FYI a merge isn't actually a "merge" until you check it in and it becomes a changeset. When doing a merge, it actually just gets merged locally - into your workspace. You could technically do a local build at this point, but your build definition won't take over until you actually check it in. I'm not sure why Daniel felt this isn't an answer... as it's the same thing I went through when setting up build definitions for merges - but oh well.

== Calculated crystals, as found in the file ==
-- begin --
1.
For CeCo3, a DFT-relaxed cell (GGA-PBE, the Materials Project) gives the theoretical powder diffraction line list in this record (Cu Kα (λ = 1.5418 Å)).
No peak broadening, texture or thermal motion is included.

Cell and atoms:
```
data_CeCo3
_chemical_formula_sum 'Ce9 Co27'
_cell_length_a 4.8941
_cell_length_b 4.8941
_cell_length_c 24.9987
_cell_angle_alpha 90.00
_cell_angle_beta 90.00
_cell_angle_gamma 120.00
_symmetry_space_group_name_H-M 'R -3 m'
_symmetry_Int_Tables_number 166
_symmetry_space_group_name_Hall '-R 3 2"'
loop_
_atom_site_label
_atom_site_fract_x
_atom_site_fract_y
_atom_site_fract_z
_atom_site_occupancy
Ce1 0.0000 0.0000 0.0000 1
Ce2 0.0000 0.0000 0.1389 1
Co1 0.0000 0.0000 0.3319 1
Co2 0.0000 0.0000 0.5000 1
Co3 0.0025 0.5012 0.0806 1
```

Peak list (8 most intense, 5 to 70 degrees two-theta, sorted by position)
2θ (°)	Rel. int.	hkl
32.79	37	1 0 7
35.70	31	0 1 8
36.73	37	1 1 0
42.85	100	1 1 6
45.24	19	0 1 11
46.55	12	2 0 5
63.66	11	2 1 7
65.50	17	0 2 13

2.
For CeCo5, a DFT-relaxed cell (GGA-PBE, the Materials Project) gives the theoretical powder diffraction line list in this record (Cu Kα (λ = 1.5418 Å)).
No peak broadening, texture or thermal motion is included.

Cell and atoms:
```
data_CeCo5
_chemical_formula_sum 'Ce1 Co5'
_cell_length_a 4.8818
_cell_length_b 4.8818
_cell_length_c 4.0246
_cell_angle_alpha 90.00
_cell_angle_beta 90.00
_cell_angle_gamma 120.00
_symmetry_space_group_name_H-M 'P 6/m m m'
_symmetry_Int_Tables_number 191
_symmetry_space_group_name_Hall '-P 6 2'
loop_
_atom_site_label
_atom_site_fract_x
_atom_site_fract_y
_atom_site_fract_z
_atom_site_occupancy
Ce1 0.0000 0.0000 0.0000 1
Co1 0.0000 0.5000 0.5000 1
Co2 0.3333 0.6667 0.0000 1
```

Peak list (8 most intense, 5 to 70 degrees two-theta, sorted by position)
2θ (°)	Rel. int.	hkl
30.67	48	1 0 1
36.82	31	1 1 0
42.78	34	2 0 0
43.36	100	1 1 1
45.05	28	0 0 2
59.54	15	1 1 2
62.54	12	2 1 1
63.87	20	2 0 2

3.
For Ce2Co16Cu, a DFT-relaxed cell (GGA-PBE, the Materials Project) gives the theoretical powder diffraction line list in this record (Cu Kα (λ = 1.5418 Å)).
No peak broadening, texture or thermal motion is included.

Cell and atoms:
```
data_Ce2Co16Cu
_chemical_formula_sum 'Ce8 Co64 Cu4'
_cell_length_a 14.473
_cell_length_b 8.362
_cell_length_c 8.122
_cell_angle_alpha 90.00
_cell_angle_beta 90.01
_cell_angle_gamma 90.00
_symmetry_space_group_name_H-M 'C 1 2/m 1'
_symmetry_Int_Tables_number 12
_symmetry_space_group_name_Hall '-C 2y'
loop_
_atom_site_label
_atom_site_fract_x
_atom_site_fract_y
_atom_site_fract_z
_atom_site_occupancy
Ce1 0.000 0.000 0.248 1
Ce2 0.166 0.500 0.253 1
Co1 0.000 0.500 0.000 1
Co2 0.000 0.500 0.500 1
Co3 0.023 0.353 0.751 1
Co4 0.082 0.246 0.482 1
Co5 0.083 0.250 0.022 1
Co6 0.164 0.000 0.518 1
Co7 0.165 0.211 0.751 1
Co8 0.166 0.000 0.978 1
Co9 0.166 0.500 0.908 1
Co10 0.188 0.141 0.249 1
Co11 0.250 0.250 0.000 1
Co12 0.250 0.250 0.500 1
Cu1 0.167 0.500 0.611 1
```
-- stop --
== The text goes on ==

TFS or Teamcity, how to automate deployment to various environments?

Looking for advice on how to handle this scenerio.
We have 3 environments: Dev, QA and Production.
Currently pushing the code to each environment is a manual process, wondering how something like Cruisecontrol or TeamCity could streamline this process.
How can we push to the various environments in an automated way?
How should TFS be setup to make this happen? i.e. master branch, feature branches etc.
Developer#1 pushes their changes to the Dev and QA servers.
Developer#2 pushes their changes to the Dev and QA servers.
Now we need to only push Developer#1's changes to production.
Should the main branch have only the code that should be going to production?
To control what gets pushed to each environment KMoraz's approach would be the correct one, using branches and merging.
Now, for build and deployment automation the latest setup I've been using is with Team City.
My setup is:
Trunk build: compiles on every commit, runs all unit tests, generates code coverage reports, runs FxCop
Static analysis build: runs nightly against Trunk, executing Duplicate Finder (Team City), ConQAT code clone analysis, StatSVN, and Resharper Code Inspections (Team City)
DEV Deployment (dependency on Trunk build): on every commit, if the Trunk build is successful, the application is automatically deployed to a DEV environment, using MS WebDeploy with config transformations.
QA Deployment: triggered manually through Team City's interface (click of a button), when moving to QA. Deploys the application to the QA server using MS WebDeploy with config transformations.
You would also set up builds for different branches, depending on your needs, especially for branches created for releases of stable versions.
The key part, is having different visual studio build configurations (just as you have "Release" and "Debug", you should have "Dev", "QA", etc), which you should use along with web.config transformations in order to get WebDeploy to configure your environment for you.
That way you'd have different web.Dev.config, web.QA.config transformations, one for each build configuration, with specific settings.
There's an excellent series of posts by Troy Hunt called "You're deploying it wrong!" which guides you through the setup of automated builds and deployments.
It was very useful to me when setting this up.
Now we need to only push Developer#1's changes to production.
-Developer #1 checked-in his code to the Dev branch. After QA verified his changes, now you merge the changes to the Main branch and build a release for production from the Main.
Should the main branch have only the code that should be going to
-Yes. Ideally, production releases should be built from the Main branch.
How can we push to the various environments in an automated way?
-In TFS, a common practice is defining a build defintion per branch and/or build type. Apart from the source and build type, each defintion can also have its own tasks, I.e: run unit tests, publish to certain folders, deploy build artifacts to Lab Management, etc.
